By: Dr. Jerry Bergman
Montpelier, Ohio
I joined the American Scientific Affiliation (ASA) in 1970 and for the next 40 years became very involved. The ASA is a Christian organization of scientists interested in associating with like-minded persons.
As I became more involved, I began attending their annual meetings held at various Christian colleges.
I also published 27 articles in their peer-reviewed scientific journal Perspectives. On April 30, 1983, I was honored by being elected a fellow of ASA.
I also became close friends with many of the members, including Baylor University Professor Walter L. Bradley, Stanford physics Professor Richard H. Bube, Harvard University Historian of Science Owen J. Gingerich, and especially Iowa State University Biochemistry Professor Dr. Walter Hearn, who actively and openly supported me and my work.
The ASA was formed in 1941 under the auspices of the fundamentalist Moody Bible Institute through the leadership of science popularizer Dr. Irwin A. Moon.
Moon founded the Moody Institute of Science in 1945 and produced the Sermons from Science series of excellent Bible-science films.
In one experiment Dr. Moon designed a pair of glasses which, when worn, caused the viewer to see the world upside down. Moon at first could not walk or read while wearing the glasses.
He took them off only to sleep. Soon his brain reversed the image, allowing him not only to walk, but also drive his motorcycle and fly an airplane, while wearing the glasses! After a week, the experiment was completed, and he no longer wore the glasses.
Without the glasses on, he now faced an upside world! His brain occipital vision center again reversed the image to see the right-side-up world as we do.
Most scientists eventually succumbed to the evolution propaganda in academia and the media. Many Christian colleges at first tolerated it under the guise of academic freedom. Eventually, evolution also became widely accepted by most Christian colleges and their faculty.
At a Cedarville University in Cedarville, Ohio, conference one faculty member researched all Christian colleges (not Bible colleges) and located only 12 out of approximately 600 private Christian colleges in the U.S. (i.e., 2%) that accept the Genesis teaching of human origins called creationism.
From what he could determine, all 600 taught human evolution as fact. Of these, 182 are Catholic colleges, and most of the rest are affiliated with a Protestant denomination.
The science faculty at the 12 colleges knew their science, but most did not have an in-depth understanding of the creation issues involved.
I am not aware of any that regularly spoke at churches in favor of the creation worldview. Liberty University required only one class in creationism which only covered the basics.
The ASA began as an anti-evolutionist organization and, as is common, slowly drifted away from their founder’s goals.
As the creationist supporters passed away or retired, the new ASA leaders who were hostile to both creation in all of its forms, and also of my life’s work, came into the ASA.
Next to the article, the page also holds data records:
CeTl2F5: calculated powder XRD pattern (Cu Kα, 1.54184 Å), based on DFT lattice parameters and positions (PBE).

The 6 most intense peaks (2θ from 10° to 90°), sorted by position:
- 2θ 25.26, intensity 52
- 2θ 26.35, intensity 100
- 2θ 27.19, intensity 67
- 2θ 27.53, intensity 38
- 2θ 35.08, intensity 44
- 2θ 54.19, intensity 43

Atomic structure:
Lattice parameters (Å, degrees): 11.568 7.822 7.051 90.00 90.00 90.00
Positions (direct):
1 Ce 0.002 0.250 0.056
2 Ce 0.498 0.750 0.556
3 Ce 0.502 0.250 0.444
4 Ce 0.998 0.750 0.944
5 Tl 0.170 0.003 0.519
6 Tl 0.170 0.497 0.519
7 Tl 0.330 0.503 0.019
8 Tl 0.330 0.997 0.019
9 Tl 0.670 0.003 0.981
10 Tl 0.670 0.497 0.981
11 Tl 0.830 0.503 0.481
12 Tl 0.830 0.997 0.481
13 F 0.018 0.250 0.388
14 F 0.072 0.533 0.147
15 F 0.072 0.967 0.147
16 F 0.168 0.250 0.879
17 F 0.191 0.750 0.850
18 F 0.309 0.250 0.350
19 F 0.332 0.750 0.379
20 F 0.428 0.033 0.647
21 F 0.428 0.467 0.647
22 F 0.482 0.750 0.888
23 F 0.518 0.250 0.112
24 F 0.572 0.533 0.353
25 F 0.572 0.967 0.353
26 F 0.668 0.250 0.621
27 F 0.691 0.750 0.650
28 F 0.809 0.250 0.150
29 F 0.832 0.750 0.121
30 F 0.928 0.033 0.853
31 F 0.928 0.467 0.853
32 F 0.982 0.750 0.612

=====

CeTl2F8: calculated powder XRD pattern (Cu Kα, 1.54184 Å), based on DFT lattice parameters and positions (PBE).

The 6 most intense peaks (2θ from 10° to 90°), sorted by position:
- 2θ 24.03, intensity 100
- 2θ 34.23, intensity 10
- 2θ 42.30, intensity 36
- 2θ 49.29, intensity 11
- 2θ 55.40, intensity 10
- 2θ 66.94, intensity 12

Atomic structure:
Lattice parameters (Å, degrees): 7.395 7.395 4.553 90.00 90.00 120.00
Positions (direct):
1 Ce 0.000 0.000 0.000
2 Tl 0.333 0.667 0.720
3 Tl 0.667 0.333 0.280
4 F 0.145 0.290 0.751
5 F 0.145 0.855 0.751
6 F 0.290 0.145 0.249
7 F 0.333 0.667 0.222
8 F 0.667 0.333 0.778
9 F 0.710 0.855 0.751
10 F 0.855 0.145 0.249
11 F 0.855 0.710 0.249

=====

CeTm2F11: calculated powder XRD pattern (Cu Kα, 1.54184 Å), based on DFT lattice parameters and positions (PBE).

The 6 most intense peaks (2θ from 10° to 90°), sorted by position:
- 2θ 15.99, intensity 42
- 2θ 21.24, intensity 100
- 2θ 22.11, intensity 55
- 2θ 23.78, intensity 94
- 2θ 24.76, intensity 87
- 2θ 45.71, intensity 50

Atomic structure:
Lattice parameters (Å, degrees): 8.558 8.558 8.558 122.74 107.31 99.30
Positions (direct):
1 Ce 0.250 0.250 0.000
2 Ce 0.750 0.750 0.000
3 Tm 0.190 0.658 0.848
4 Tm 0.310 0.158 0.468
5 Tm 0.690 0.842 0.532
6 Tm 0.810 0.342 0.152
7 F 0.000 0.500 0.500
8 F 0.030 0.960 0.272
9 F 0.055 0.344 0.132
10 F 0.187 0.460 0.930
11 F 0.194 0.389 0.583
12 F 0.212 0.924 0.868
13 F 0.288 0.156 0.711
14 F 0.306 0.889 0.195
15 F 0.313 0.242 0.272
16 F 0.445 0.576 0.289
17 F 0.470 0.742 0.930
18 F 0.500 0.000 0.500
19 F 0.530 0.258 0.070
20 F 0.555 0.424 0.711
21 F 0.687 0.758 0.728
22 F 0.694 0.111 0.805
23 F 0.712 0.844 0.289
24 F 0.788 0.076 0.132
25 F 0.806 0.611 0.417
26 F 0.813 0.540 0.070
27 F 0.945 0.656 0.868
28 F 0.970 0.040 0.728

=====
The data records stop here:
The ASA eventually moved from tolerating evolution to open opposition to creationism and intelligent design. Unfortunately, this is the dominant, anti-Biblical position the ASA accepts today.
I became disillusioned when I wrote an article on anatomy, a subject I was then teaching at the college level, disproving an evolutionary claim that certain human body organs were poorly designed.
I documented that several very good reasons existed for each organ’s exiting design. I submitted my article to the ASA Journal and, even though the editor was very supportive of my article, it was rejected by the reviewers.
The reviewers could not point to any specific error I made. It was clear that the ASA would no longer accept articles that refuted evolutionary claims.
Only articles that supported evolution would be accepted. The ASA were not interested in supporting evidence against Darwinism, but only the evidence for evolution and against both creationism and intelligent design.
Another revealing incident was a review of my well-documented book The Dark Side of Darwin that Baptist college professor Dr. Sara Joan Miles, published in the June 2012 issue of Perspectives on Science and Christian Faith.
In short, this so-called “review” was an irresponsible hatchet job. She implied that Darwin was an important scientist because he was able to document that humans evolved from some primate common ancestor due to the accumulation of mutations.
We know that the vast majority of mutations are near-neutral or deleterious, leading to genetic meltdown, causing death or extinction. I briefly responded to her review and sent a copy to the current book review editor of Perspectives who declined to publish my response.
In view of how critically important ASA was in my life, this experience was very difficult to deal with.
It was as if my friends had died, which many of them had. Greatly missing the people, I knew and worked with for so many years, many I counted as close friends, I resigned from the ASA.
This was yet another example of the harm that Darwinism has done in both society and the church, and especially in the Christian colleges.
Note – My new book containing all of my columns for 2023 titled Tackling Tough Issues is available for sale at The Village Reporter office 115 Broad Street in Montpelier. The book and 30 of my best-selling books are sold in Miller’s New Market off of Main Street in Montpelier.
Dr. Bergman is a multi-award-winning teacher and author. He has taught in the science and psycholo-gy area for over 40 years at the University of Toledo Medical College, Bowling Green State University, and other colleges. His 9 degrees include a Doctorate from Wayne State University in Detroit, Michigan. He has over 1,800 publications in both scholarly and popular science journals that have been translated into 13 languages. His publications are in over 2,400 college libraries in 65 countries. Bergman has spo-ken over 2,000 times at colleges and churches in America, Canada, Europe, the South Sea Islands, and Africa.